CBM. Vol. 92 (1866) TAB. 5597 |
タラヨウを最初に記録に残した西欧人は,1690-92 年に長崎出島のオランダ商館に医師として滞在した★エンゲルベルト・ケンペル(Engelbert
Kaempfer, 1651-1716)で,その『廻国奇観』(Amoenitates Exoticae , 1712)の “Fasciculus V, p775” に「葉羅多 タラヨウ」という漢字名の他に「オニモチ(鬼黐)」と一般的に呼ばれ,真っ赤な小さな実をびっしりつける観賞価値が高い庭木として植えられている」と記し,カロルス・クルシウス(Clusius, Carolus, (1526-1609))の記録したセイヨウバクチノキと同じか?と記した.(左上図)
“葉羅多 Taraijo,
vulgo Onimotsj. Lauro-Cerasus, flosculis in luteum
languentibus, tetrapetalis, numerosis, sub foliorum axillis in modum racemi
confertis, fragrantibus; fructu pisi magnitudinis, rubente, umbilicato, quatuor
intus granis, figurae seminum pyri, in orbem conglobatis. Ob
sempiternam pulchritudinem in hortulis colitur. An Lauro-Cerasus Clusii?”
Lauro-Cerasus:カロルス・クルシウス(Clusius, Carolus, A.K.N. de
l'Écluse, Charles (1526-1609))『パンノニア,オーストリア,およびその近隣の稀産植物誌』(Rariorum aloquot Stripium per Pannoniam, Austriam et Vicinas
Historia 1583)より(右図)
現在でも有効な学名を与えたのは,リンネの高弟で,日本には1775 - 1776年の短い間滞在し,後にリンネの後を継いだ★カール・ツンベルク (Carl
Peter Thunberg, 1743-1828) で, “Syst. Veg., ed. 14: 168 (1784)” に
172. ILEX. Cal 4-dentatus. Cor.
rotata. Stylus O. Bacca 4 sperma.
latifolia. IO. I. fol. ovatis
serratis, flor. axillaribus aggregatis.
Thunb. l. c. M.”
と記し,学名を Ilex latifolia
X.” の項に
”latifolia. I.
foliis ovatis serratis, floribus axiliaribus aggregatis.
Japonice: No Ko Giri.
Caulis arborescens.
Rami rigidi, angulati,
Folia alterna, petiolata,
ovata, obtusiuscula, serrata
margine reflexo,
supra nitida, subtus pallida, patentia,
duos pollices
lata, tripollicaria.
Petioli subtriquetri,
canaliculati, fusci, unguiculares.
Flores supraaxillares, e
gemmis plurimi aggregati, pedunculati.
Pedunculi unguiculares.” と,日本名は「ノコギリ」と記した.(左図,上部)
この,『日本植物誌』記載のラテン名を伊藤圭介 (1803-1901) が,シーボルトの指導を受けて,対応する和名と漢名を記した出版物,『泰西本草名疏 下』(1829)には,
---- LATIFOLIA タラエフ 娑羅樹」とある.(左上図,下部)
江戸時代後晩期の医学・理科学の発展に大きく貢献した★シーボルト (Philipp Franz Balthasar von Siebold, 1796–1866,日本滞在 1823–1829, 1859–1862)は帰国後★ヨーゼフ・ゲアハルト・ツッカリーニ (Joseph Gerhard (von) Zuccarini,
1797 – 1848) と協力して,持ち帰った多くの資料を基に日本植物の研究を行った.その成果は『日本植物誌』に美しい図入りで刊行されたが,それ以外にも学術雑誌に論文として発表された.“Abh. Akad. Muench. 4(2)
p. 147
28. (240. Endl.)
87. Ilex
147. Il.
crenata Thunb. - - - - -
149. Il.
latifolia Thbg. I. ramis angulatis, foliis alternis petiolatis, in eodeni
ramo figura variis, oblongis ovatis vel ellipticis, acuniinatis vel obtusis,
argute serratis vel leviter crenatis utrinque glabris superne lucidis, petiolis
trigonis, floribus axillaribus e gemmis propriis umbellato-fasciculatirs
numerosis, pedunenlis unifloris. I.
latifolia Thbg. Fl. jap. p.79. — I. macrophylla Blume Bijdr. 17. p. 1150.
Rami angulati, crassi. Folia figuia et
magnitudine varia, petiolata, petiolo semipollicari crasso superne plano
canaliculato subtus carinato; lamina 3—8" longa, 1 1/2—3" lata,
oblonga, elliplica vel ovata, acuminata vel obtusa, vario modo serrata,
coriacea, lucida. Flores ultra 20 in quovis fasciculo, e viridi flavescentes.
Drupa parva, glabosa, coccinea, plerumque tetrapyrena, pyreuis trigonis.
とタラヨウがツンベルクの命名した “Ilex Latifolia” の学名で記し,その性状が詳しく書かれている.
タラヨウは英国に移出・栽培され,有名な園芸家・植物学者の★サー・ジョセフ・パクストン(Sir Joseph Paxton, 1803 -1865)& ジョン・リンドリー(John Lindley, 1799 - 1865)の ”Flower Garden III” (1852) の “GLEANINGS AND ORIGINAL MEMORANDA” の項には,大きなスペースを使って,タラヨウの記事があり,単色ながら挿図も載せられている.寒地にも耐えられる強さと,赤い実と常緑の葉の美しさが庭園木として高く評価されている.
ILEX LATIFOLIA, A hardy evergreen tree, with long shilling leaves, greenish
flowers, and small red axillary berries. Said to be a native of Japan. Belongs
to Aquinifoils. (Fig. 240.)
This is a stout, stiff, evergreen, hardy
tree, of great beauty. Every part is entirely free from hair. The shoots, which
are deep green or tinged with violet, are somewhat angular near the ends. The leaves,
which are from six to eight inches long, are deep green, not coloured at the edge,
flat, oblong, acuminate, sharply and pretty regularly serrated, except at the base,
which is entire, and gradually narrows into a petiole about three quarters of
an inch long. The flowers are small, hermaphrodite, pale green, in very close
axillary racemes, about as long as the leafstalks, and supported by short,
ovate, acute, shining, car- tilaginous bracts. The berries, which ripen in
February, are in short compact clusters, of a dull red colour, and nearly
spherical; each contains from four to five stones, in which we have never
succeeded in finding a kernel.
This valuable plant passes under the name
of Ilex latifolia, by which Thunberg designated
a small tree called, in Japan, No-Ko-Giri; but, if the statement of that
botanist can be trusted, his plant must be different, for he says the leaves
are egg-shaped, and three inches long by two broad, which gives them an
entirely different outline from the species before us, the proportion of whose
leaves is not three by two, but six or seven by two, a very material
difference. Nevertheless, in the absence of any authentic evidence, we leave
the garden name as we find it, especially since it is probably the I. latifolia of Zuccarini and Siebold (Floae japonicae familioe naturales,
sect, i., p. 40), or I. macrophylla of
Blume. According to the first of these authors, the leaves in the wild plant
~~~
No. 1
Rb2NdBe2S4 after structural relaxation. Source: Alexandria via LeMat-Bulk, functional GGA-PBE.

Values from the calculation:
ΔE_f (raw) in eV/atom: -1.191
Energy in Ry/atom: -0.3380

a = 7.7671 Å, b = 7.7671 Å, c = 8.2605 Å
α = 112.20°, β = 112.20°, γ = 27.90°
Fractional coordinates of all 9 atoms:
Rb  0.1292  0.1292  0.0493
Rb  0.8708  0.8708  0.9507
Nd  0.0000  0.0000  0.5000
Be  0.3273  0.3273  0.5319
Be  0.6727  0.6727  0.4681
S  0.2085  0.2085  0.6286
S  0.4630  0.4630  0.7322
S  0.5370  0.5370  0.2678
S  0.7915  0.7915  0.3714

=====

No. 2
Tl2HgW after structural relaxation. Source: Alexandria via LeMat-Bulk, functional GGA-PBE.

Values from the calculation:
ΔH_f (0 K) in eV per atom: 0.721
Energy in Ry/atom: -0.2776
Energy relative to the lowest polymorph listed for this composition in eV per atom: 0.005

a = 11.0435 Å, b = 11.0435 Å, c = 11.0435 Å
α = 16.24°, β = 16.24°, γ = 16.24°
Fractional coordinates of all 4 atoms:
Tl  0.0000  0.0000  0.0000
Tl  0.2368  0.2368  0.2368
Hg  0.4813  0.4813  0.4813
W  0.7431  0.7431  0.7431

=====

No. 3
SrEuSe after structural relaxation. Source: Alexandria via LeMat-Bulk, functional GGA-PBE.

Values from the calculation:
ΔE_f (raw) in eV/atom: -1.250
Energy in Ry/atom: -0.4701

a = 4.2809 Å, b = 4.2809 Å, c = 7.2594 Å
α = 90.00°, β = 90.00°, γ = 120.00°
Fractional coordinates of all 3 atoms:
Sr  0.0000  0.0000  0.0000
Eu  0.3333  0.6667  0.5071
Se  0.6667  0.3333  0.2633

=====

#1
First-principles (GGA-PBE) data for a relaxed structure of PmAl2Pt, as listed in Alexandria via LeMat-Bulk.

Calculated values
total magnetic moment: 0.00 μB/cell
calculated volume: 20.2 Å³ per atom

CIF file:
```
data_PmAl2Pt
_cell_length_a 5.8076
_cell_length_b 5.8076
_cell_length_c 7.0170
_cell_angle_alpha 90.00
_cell_angle_beta 90.00
_cell_angle_gamma 137.01
_space_group_name_H-M_alt 'P 1'
_space_group_IT_number 1
loop_
_space_group_symop_operation_xyz
'x,y,z'
loop_
_atom_site_label
_atom_site_fract_x
_atom_site_fract_y
_atom_site_fract_z
Pm1 0.0644 0.9356 0.7500
Pm2 0.9356 0.0644 0.2500
Al1 0.3454 0.6546 0.5555
Al2 0.3454 0.6546 0.9445
Al3 0.6546 0.3454 0.0555
Al4 0.6546 0.3454 0.4445
Pt1 0.2149 0.7851 0.2500
Pt2 0.7851 0.2149 0.7500
```

=====

#2
First-principles (GGA-PBE) data for a relaxed structure of PmAl2Pt, as listed in Alexandria via LeMat-Bulk.

Calculated values
total magnetic moment: 0.00 μB/cell
calculated volume: 20.1 Å³ per atom

CIF file:
```
data_PmAl2Pt
_cell_length_a 15.9206
_cell_length_b 6.9823
_cell_length_c 5.7851
_cell_angle_alpha 90.00
_cell_angle_beta 90.00
_cell_angle_gamma 90.00
_space_group_name_H-M_alt 'P 1'
_space_group_IT_number 1
loop_
_space_group_symop_operation_xyz
'x,y,z'
loop_
_atom_site_label
_atom_site_fract_x
_atom_site_fract_y
_atom_site_fract_z
Pm1 0.1047 0.2500 0.2394
Pm2 0.1411 0.7500 0.0171
Pm3 0.3589 0.2500 0.5171
Pm4 0.3953 0.7500 0.7394
Pm5 0.6047 0.2500 0.2606
Pm6 0.6411 0.7500 0.4829
Pm7 0.8589 0.2500 0.9829
Pm8 0.8953 0.7500 0.7606
Al1 0.0397 0.0568 0.7279
~~~
End of the data records.
vary in form, being, on the same branch, oblong, ovate, or elliptical,
acuminate or obtuse, and finely serrated, or slightly crenate.
The species nearly approaches the Ilex Perado of the Hortus Kewensis, a
native of the Canaries, figured in the Botanical
Magazine, t. 4079, under Webb and Berthellot’s name of I. platyphylla, another very handsome hardy shrub, differing from
this in bearing clusters of large white flowers, and fruit more than twice the
size of that of the present plant. There is no doubt that this I. latifolia, of which we believe two
varieties are in cultivation, and which is plentiful in the nurseries, is as
hardy as the common holly itself.
同じ英国で刊行され,現在でも続けられている★『カーチスの植物雑誌 (Curtis’s Botanical
Magazine)』Vol. 92 (1866) の TAB. 5597 には,” ILEX LATIFOLIA. Broad-leaved Japanese
Holly.” として花を付けたタラヨウと,実との美しい石版手彩色画(文頭図)とともに,記述されている.

“This noble Holly, though often supposed to
be one of the later importations from Japan, has long been cultivated in the
Royal Gardens, where it has stood without protection, trained against a wall,
for many years, and quite uninjured. In the open air I have not observed it
flowering, but it flowers abundantly in the Temperate House during June and July.
In other places near London and elsewhere, it is cultivated as a standard ; and
though I have never seen it luxuriant under such circumstances in the east of
England, it no doubt succeeds perfectly in the west. It is a beautiful shrub,
of a paler green than the common Holly, with similar berries, and the flowers
are produced in round heads of a pale yellow-green colour. As a species it is
extremely closely allied to an arborescent Himalayan species that I have found
in the Sikkim province, which has however large berries containing a bony three
to four-celled nut, which does not, as in this, break up into four nucules. I
have native specimens of I. latifolia,
collected near Nagasaki by the late Mr. Oldham, collector for the Royal
Gardens, from whose seeds the plant.
DESCB. A tall evergreen glossy bush.
<<<
A geometry-optimized YMn3Bi structure. Source: Alexandria via LeMat-Bulk, functional PBE-GGA.

Formation energy from the elements (meV/atom): 1397

The structure in POSCAR format:
```
YMn3Bi
1.0
5.016 0.000 0.000
0.000 5.016 0.000
0.000 0.000 5.016
Y Mn Bi
1 3 1
Direct
0.000 0.000 0.000 Y
0.000 0.000 0.500 Mn
0.000 0.500 0.000 Mn
0.500 0.000 0.000 Mn
0.500 0.500 0.500 Bi
```

----------

No. 1
Pu3In2Bi | PBE | optimized geometry

Output
- calculated total energy (eV per atom) = -8.85
- DFT formation energy (meV/atom) = -124

Cell: 5.4464 5.4464 6.6010 Å, 90.00 90.00 120.00°
Space group P-3m1 (No. 164)
Inequivalent atoms, fractional coordinates:
Pu: 0.0000 0.0000 0.0000 x1
Pu: 0.3333 0.6667 0.6255 x2
In: 0.3333 0.6667 0.1285 x2
Bi: 0.0000 0.0000 0.5000 x1



No. 2
PuInBi2 | PBE | optimized geometry

Output
- calculated total energy (eV per atom) = -6.19
- DFT formation energy (meV/atom) = 17
- energy relative to the lowest polymorph listed for this composition (meV per atom) = 273

Cell: 4.6918 4.6918 20.8758 Å, 90.00 90.00 120.00°
Space group R-3m (No. 166, hexagonal axes)
Inequivalent atoms, fractional coordinates:
Pu: 0.0000 0.0000 0.0000 x3
In: 0.0000 0.0000 0.5000 x3
Bi: 0.0000 0.0000 0.2512 x6



No. 3
PuInBi | PBE | optimized geometry

Output
- calculated total energy (eV per atom) = -7.12
- DFT formation energy (meV/atom) = -136
- energy relative to the lowest polymorph listed for this composition (meV per atom) = 0

Cell: 5.4499 5.4499 3.3385 Å, 90.00 90.00 120.00°
Space group P-6m2 (No. 187)
Inequivalent atoms, fractional coordinates:
Pu: 0.0000 0.0000 0.0000 x1
In: 0.6667 0.3333 0.5000 x1
Bi: 0.3333 0.6667 0.5000 x1



No. 4
Pu4InBi3 | PBE | optimized geometry

Output
- calculated total energy (eV per atom) = -9.15
- DFT formation energy (meV/atom) = -187

Cell: 4.276 5.107 10.601 Å, 90.00 90.00 90.00°
Space group Pmmm (No. 47)
Inequivalent atoms, fractional coordinates:
Pu: 0.000 0.000 0.000 x1
Pu: 0.000 0.000 0.500 x1
Pu: 0.000 0.500 0.243 x2
In: 0.500 0.500 0.000 x1
Bi: 0.500 0.000 0.240 x2
Bi: 0.500 0.500 0.500 x1



No. 5
Pu2InBi5 | PBE | optimized geometry

Output
- calculated total energy (eV per atom) = -6.59
- DFT formation energy (meV/atom) = -241

Cell: 6.843 13.699 4.984 Å, 90.00 90.00 90.00°
Space group Pbam (No. 55)
Inequivalent atoms, fractional coordinates:
Pu: 0.220 0.131 0.000 x4
In: 0.000 0.500 0.500 x2
Bi: 0.000 0.000 0.500 x2
Bi: 0.027 0.745 0.500 x4
Bi: 0.223 0.383 0.000 x4



No. 6
PuInBi3 | PBE | optimized geometry

Output
- calculated total energy (eV per atom) = -5.88
- DFT formation energy (meV/atom) = -141
>>>
Brunches very stout, angular, grooved when dry. Leaves three to seven inches long, oblong linear-oblong or
oblong-lanceolate, acute, obtuse or acuminate, serrate, bright glossy-green
above, paler and opaque below : nerves
numerous, obscure when fresh. Flowers probably dioecious, in axillary, dense,
subglobose, green clusters an inch to an inch and a half in diameter. Calyx with four short rounded lobes. Corolla cleft nearly to the base into
four broadly oblong, obtuse, concave, pale-green lobes. Stamens usually larger
than the corolla ; filaments
filiformsubulate. Berries half to
two-thirds of an inch in diameter, bright-red, globose or a little depressed,
with a large persistent four-lobed stigma, containing four bony nuts. - J. D. H
Fig. 1. Flower. 2. The same, open 3. Calyx
: - all magnified.”
明治初期に造船技師としてフランスから招聘された★サバティエ(Paul Amédée Ludovic Savatier, 1830–1891)は帰国後,フランシェ (Adrien René Franchet, 1834-1900) と共同で『日本植物目録』(Enumeratio
Plantarum in Japonia Sponte Crescentium, 1875-79) を出版したが,これには,九州の山地に多く,オルダム*は長崎で,シーボルトは長崎の岩屋山**で,サバティエは箱根で観察し,日本名は「Toraia(鳥黐の事か)」とある.
Thunb. fl. Jap. p. 79. —Miq. Prol. 269.
HAB. in regione
montana insulae Kiousiou, prope Nangasaki (Oldham*); in monte Iwaja (Siebold)**.
Nippon media, in montibus Hakone (Savatier,-n. 224).
* Richard Oldham (1837-1864), 王立キュー植物園から日本及び中国に送られたプラントハンター.
** 石山禎一『シーボルト 日本の植物に賭けた生涯』(2000) 里文出版 「長崎近郊への調査の旅
ドイツ系ロシア人の★カール・ヨハン・マキシモヴィッチ(Carl Johann Maximowicz または Karl
Johann Maximowicz, 1827 - 1891)は1860年から1864年2月まで日本に滞在し ,精力的に日本の植物相調査を行った.手始めに函館で採集助手として須川長之助 (Sukawa, Tschonoski, 1842 – 1925) を雇い ,およそ1年ほどをそこで過ごし渡島半島の植物相調査を行う.1862年 ,助手の長之助を伴って横浜を経由し九州へ向かう.九州では長崎に1年余り滞在し
,周辺を調査するとともに長之助を雲仙 ,阿蘇 ,霧島などへ遣わした.またこのとき ,たまたま日本滞在中であったシーボルトとも長崎で会っている.その報告,Mem. Acad. Sci. St.-Pet. ser. 7, 29(3) (1881) の “MEMOIRES DE
“ 14. I. latifolia Thunb. Fl. Jap. 79. Arbor vasta coma densa, ramulis
crassis glabris hornotinis angulatis; foliis amplis rigide coriaceis superne
lucidis elevato-costatis subtus opacis laeviusculis , inferioribus ovatis
ellipticisve obtusis, reliquis ovalioblongis oblongisve, utrinque breve
acuminatis, serrulatis; cymulis ♂ 1 — 3-floris atque ♀ abortu 1-floris in pedunculo
petiolum superante racemosis, bracteis numerosis ovatis; floribus 4-meris,
calycis lobis rotundatis ciliolatis, corolla rotata partita calycem plus triplo
superante, stamina in ♂ subaequante, in ♀ superante, ovario fl. ♂ obsoleto, ♀ globosoovoideo stigmate lato plano;
drupa globosa opaca sordidulococciuea subsicca, pyrenis 4 trigonis
sulcatorugosis. Sieb, et Zucc. 1. c. n. 149. Miq. Prol. 269. Franch. Savat. 1.
. I, 77. Lindl, et Paxt. Fl. g. III, 13, fig. 240. Bot. mag. 5597. I. macrophylla Bl. Bijdr. 1150. Oni motsj seu
Taraijo, Kaempf. Amoen. exot. 907.
Japonice in Kiusiu vulgo noko-ki, in Yedo: tarayov, unde I. Tarajo h. Angl., an etiam Decaisne in
Van Houtte, fl. d. serr. IX, 187., ubi ab I.
latifolia distinguitur foliis inaequaliter dentatis oblongolanceolatis
acuminatis, petiolis violaceis? Vox tarayov
a Hoffmann (Noms indig.) a sinica tôo tô
yë derivatur, stirps igitur fortasse et in China occurrit.
In Nippon: Yedo culta, fine Octobris fructif. (ipse), montib. Hakone
(Savatier ex Franchet). Kiusiu, circa
Nagasaki (Oldham! n. 146 fructif.) v. gr. ad rivulum prope templum Meosuzi,
arbores crassitie femoris, init. Maji fl. ♂, ♀, ad viam versus
Himi ducentem, ad latus meridionale collium, sylvula e pluribus arboribus,
init. Maji c. fructu (ipse), in monte sylvoso Yuwaya, arbor vastissima
Affinis I. denticulatae Wall, (vidi specc. Wight
ex hb. Kew. acc. n. 438, Wight hb. propr.
n. 490, Perrottet n. 720, Ilex spec,
Metz n. 1455: I. nilagirica Miq., Metz n. 1456), quae etiam inflorescentia
axillari racemosa in utroque sexu gaudet et drupas pyrenasque (distinctius
rugosas) floresque similes habet, sed multo magis micropliylla est et folia
opaca pancicostata reticulo subtus prominente habet. I. insignis Hook. f. 1. c. 599, valde I. latifoliae affinis dicta, adulta tantum quoad folia similis
est, eximie vero differt foliis pl. juvenilis spinososerratis, cymis ♀ sessilibus, pyrenis in massam 4-locularem con~ natis. Praeterea
habet folia minus coriacea, nervos minus numerosos, sub angulo acutiore egressos
et subtus prominentes, superne vero impressos. Ad I. insignem duco specc. Roylei s. n. I. macrophyllae Royle nec Wall, flor., Sikkimensia a G. King frf.
S. n. I. insignis, Griffithii flor.
n. 2004 distrib. Kew. s. n. I. dipyrenae
Folia I. latifoliae inferiora petiolo 15 mm., lamina 80:55 mm., superiora
petiolo 20 mm., lamina 165:65 mm., supra saturate, subtus pallide
lutescentiviridia, costis utrinque ultra 16, divergentibus, mox venosis et
anastomosantibus. Flores diam. 7 mm., luteoviriduli. Filamenta subulata,
antherae ovatae. Drupa 8 mm. Pyrenae 4 : 3 mm. magnae, dorso planiusculo
inordinate et subobsolete rugosae.
Tab. 1. fig. 2. Pyrena a dorso et ventre, quinquies
文中挿図:ケンペルのは京都大学図書館,他は Internet Archive の公開デジタル画像より,部分引用